# Request
Your job: reproduce all of the data below without additions.

# Contents
-- begin --
Model i:
VASP calculation (PBE-GGA) on a relaxed Th4CuBi crystal.

Cell: 7.5600 7.5600 6.1932 Å, 90.00 90.00 90.00°
Space group P4/mcc (No. 124)
Symmetry-distinct sites (fractional):
Th 0.1421 0.3274 0.0000 x8
Cu 0.0000 0.0000 0.2500 x2
Bi 0.5000 0.5000 0.2500 x2

## Properties
density of states at the Fermi level	8.1	states/eV/f.u.
density	11.27	g cm⁻³


Model ii:
VASP calculation (PBE-GGA) on a relaxed Th4CuBi crystal.

Cell: 7.4690 7.4690 12.9339 Å, 90.00 90.00 90.00°
Space group I4/mcm (No. 140)
Symmetry-distinct sites (fractional):
Th 0.1568 0.3432 0.1420 x16
Cu 0.0000 0.0000 0.2500 x4
Bi 0.0000 0.0000 0.0000 x4

## Properties
density of states at the Fermi level	6.6	states/eV/f.u.
density	11.05	g cm⁻³


Which one sits at the bottom of the stability order? model ii does.


Model i:
VASP calculation (PBE-GGA) on a relaxed TiCuBi3 crystal.

Cell: 5.3648 5.3648 5.3648 Å, 90.00 90.00 90.00°
Space group Pm-3m (No. 221)
Symmetry-distinct sites (fractional):
Ti 0.0000 0.0000 0.0000 x1
Cu 0.5000 0.5000 0.5000 x1
Bi 0.0000 0.0000 0.5000 x3

## Properties
density of states at the Fermi level	4.2	states/eV/f.u.
density	7.94	g cm⁻³


Model ii:
VASP calculation (PBE-GGA) on a relaxed TiCuBi3 crystal.

Cell: 5.2082 5.2082 5.2082 Å, 90.00 90.00 90.00°
Space group Pm-3m (No. 221)
Symmetry-distinct sites (fractional):
Ti 0.0000 0.0000 0.0000 x1
Cu 0.5000 0.5000 0.5000 x1
Bi 0.0000 0.5000 0.5000 x3

## Properties
density of states at the Fermi level	7.6	states/eV/f.u.
density	8.68	g cm⁻³


Which one sits at the bottom of the stability order? model ii does.


Model i:
VASP calculation (PBE-GGA) on a relaxed TlCu2Bi2 crystal.

Cell: 7.4423 7.4423 4.1579 Å, 90.00 90.00 90.00°
Space group P4/mbm (No. 127)
Symmetry-distinct sites (fractional):
Tl 0.0000 0.0000 0.0000 x2
Cu 0.1184 0.3816 0.0000 x4
Bi 0.1656 0.6656 0.5000 x4

## Properties
density of states at the Fermi level	1.7	states/eV/f.u.
density	10.81	g cm⁻³


Model ii:
VASP calculation (PBE-GGA) on a relaxed TlCu2Bi2 crystal.

Cell: 4.4596 4.4596 12.9961 Å, 90.00 90.00 90.00°
Space group I4/mmm (No. 139)
Symmetry-distinct sites (fractional):
Tl 0.0000 0.0000 0.0000 x2
Cu 0.0000 0.5000 0.2500 x4
Bi 0.0000 0.0000 0.3698 x4

## Properties
density of states at the Fermi level	2.8	states/eV/f.u.
density	9.63	g cm⁻³


Which one sits at the bottom of the stability order? model i does.


Model i:
VASP calculation (PBE-GGA) on a relaxed TlCu2Bi2 crystal.

Cell: 4.8552 4.8552 10.8224 Å, 90.00 90.00 90.00°
Space group I4/mmm (No. 139)
Symmetry-distinct sites (fractional):
Tl 0.0000 0.0000 0.0000 x2
Cu 0.0000 0.0000 0.3854 x4
Bi 0.0000 0.5000 0.2500 x4

## Properties
density of states at the Fermi level	2.4	states/eV/f.u.
density	9.76	g cm⁻³


Model ii:
VASP calculation (PBE-GGA) on a relaxed TlCu2Bi2 crystal.

Cell: 8.7087 8.7087 3.1866 Å, 90.00 90.00 90.00°
Space group P4/mbm (No. 127)
Symmetry-distinct sites (fractional):
Tl 0.0000 0.0000 0.0000 x2
Cu 0.1487 0.3513 0.5000 x4
Bi 0.1440 0.6440 0.0000 x4

## Properties
density of states at the Fermi level	1.7	states/eV/f.u.
density	10.30	g cm⁻³


Which one sits at the bottom of the stability order? model ii does.


Model i:
VASP calculation (PBE-GGA) on a relaxed Tl2CuBi2 crystal.

Cell: 6.8685 6.8685 6.1908 Å, 90.00 90.00 90.00°
Space group P4/mbm (No. 127)
Symmetry-distinct sites (fractional):
Tl 0.1603 0.3397 0.0000 x4
Cu 0.0000 0.0000 0.0000 x2
Bi 0.1965 0.6965 0.5000 x4

## Properties
density of states at the Fermi level	2.0	states/eV/f.u.
density	10.12	g cm⁻³


Model ii:
VASP calculation (PBE-GGA) on a relaxed Tl2CuBi2 crystal.

Cell: 7.2029 7.2029 5.8497 Å, 90.00 90.00 90.00°
Space group P4/mbm (No. 127)
Symmetry-distinct sites (fractional):
Tl 0.1684 0.3316 0.0000 x4
Cu 0.0000 0.0000 0.5000 x2
Bi 0.1543 0.6543 0.5000 x4

## Properties
density of states at the Fermi level	1.9	states/eV/f.u.
density	9.74	g cm⁻³


Which one sits at the bottom of the stability order? model i does.


Model i:
-- stop --

# Worked solution
Model i:
VASP calculation (PBE-GGA) on a relaxed Th4CuBi crystal.

Cell: 7.5600 7.5600 6.1932 Å, 90.00 90.00 90.00°
Space group P4/mcc (No. 124)
Symmetry-distinct sites (fractional):
Th 0.1421 0.3274 0.0000 x8
Cu 0.0000 0.0000 0.2500 x2
Bi 0.5000 0.5000 0.2500 x2

## Properties
density of states at the Fermi level	8.1	states/eV/f.u.
density	11.27	g cm⁻³


Model ii:
VASP calculation (PBE-GGA) on a relaxed Th4CuBi crystal.

Cell: 7.4690 7.4690 12.9339 Å, 90.00 90.00 90.00°
Space group I4/mcm (No. 140)
Symmetry-distinct sites (fractional):
Th 0.1568 0.3432 0.1420 x16
Cu 0.0000 0.0000 0.2500 x4
Bi 0.0000 0.0000 0.0000 x4

## Properties
density of states at the Fermi level	6.6	states/eV/f.u.
density	11.05	g cm⁻³


Which one sits at the bottom of the stability order? model ii does.


Model i:
VASP calculation (PBE-GGA) on a relaxed TiCuBi3 crystal.

Cell: 5.3648 5.3648 5.3648 Å, 90.00 90.00 90.00°
Space group Pm-3m (No. 221)
Symmetry-distinct sites (fractional):
Ti 0.0000 0.0000 0.0000 x1
Cu 0.5000 0.5000 0.5000 x1
Bi 0.0000 0.0000 0.5000 x3

## Properties
density of states at the Fermi level	4.2	states/eV/f.u.
density	7.94	g cm⁻³


Model ii:
VASP calculation (PBE-GGA) on a relaxed TiCuBi3 crystal.

Cell: 5.2082 5.2082 5.2082 Å, 90.00 90.00 90.00°
Space group Pm-3m (No. 221)
Symmetry-distinct sites (fractional):
Ti 0.0000 0.0000 0.0000 x1
Cu 0.5000 0.5000 0.5000 x1
Bi 0.0000 0.5000 0.5000 x3

## Properties
density of states at the Fermi level	7.6	states/eV/f.u.
density	8.68	g cm⁻³


Which one sits at the bottom of the stability order? model ii does.


Model i:
VASP calculation (PBE-GGA) on a relaxed TlCu2Bi2 crystal.

Cell: 7.4423 7.4423 4.1579 Å, 90.00 90.00 90.00°
Space group P4/mbm (No. 127)
Symmetry-distinct sites (fractional):
Tl 0.0000 0.0000 0.0000 x2
Cu 0.1184 0.3816 0.0000 x4
Bi 0.1656 0.6656 0.5000 x4

## Properties
density of states at the Fermi level	1.7	states/eV/f.u.
density	10.81	g cm⁻³


Model ii:
VASP calculation (PBE-GGA) on a relaxed TlCu2Bi2 crystal.

Cell: 4.4596 4.4596 12.9961 Å, 90.00 90.00 90.00°
Space group I4/mmm (No. 139)
Symmetry-distinct sites (fractional):
Tl 0.0000 0.0000 0.0000 x2
Cu 0.0000 0.5000 0.2500 x4
Bi 0.0000 0.0000 0.3698 x4

## Properties
density of states at the Fermi level	2.8	states/eV/f.u.
density	9.63	g cm⁻³


Which one sits at the bottom of the stability order? model i does.


Model i:
VASP calculation (PBE-GGA) on a relaxed TlCu2Bi2 crystal.

Cell: 4.8552 4.8552 10.8224 Å, 90.00 90.00 90.00°
Space group I4/mmm (No. 139)
Symmetry-distinct sites (fractional):
Tl 0.0000 0.0000 0.0000 x2
Cu 0.0000 0.0000 0.3854 x4
Bi 0.0000 0.5000 0.2500 x4

## Properties
density of states at the Fermi level	2.4	states/eV/f.u.
density	9.76	g cm⁻³


Model ii:
VASP calculation (PBE-GGA) on a relaxed TlCu2Bi2 crystal.

Cell: 8.7087 8.7087 3.1866 Å, 90.00 90.00 90.00°
Space group P4/mbm (No. 127)
Symmetry-distinct sites (fractional):
Tl 0.0000 0.0000 0.0000 x2
Cu 0.1487 0.3513 0.5000 x4
Bi 0.1440 0.6440 0.0000 x4

## Properties
density of states at the Fermi level	1.7	states/eV/f.u.
density	10.30	g cm⁻³


Which one sits at the bottom of the stability order? model ii does.


Model i:
VASP calculation (PBE-GGA) on a relaxed Tl2CuBi2 crystal.

Cell: 6.8685 6.8685 6.1908 Å, 90.00 90.00 90.00°
Space group P4/mbm (No. 127)
Symmetry-distinct sites (fractional):
Tl 0.1603 0.3397 0.0000 x4
Cu 0.0000 0.0000 0.0000 x2
Bi 0.1965 0.6965 0.5000 x4

## Properties
density of states at the Fermi level	2.0	states/eV/f.u.
density	10.12	g cm⁻³


Model ii:
VASP calculation (PBE-GGA) on a relaxed Tl2CuBi2 crystal.

Cell: 7.2029 7.2029 5.8497 Å, 90.00 90.00 90.00°
Space group P4/mbm (No. 127)
Symmetry-distinct sites (fractional):
Tl 0.1684 0.3316 0.0000 x4
Cu 0.0000 0.0000 0.5000 x2
Bi 0.1543 0.6543 0.5000 x4

## Properties
density of states at the Fermi level	1.9	states/eV/f.u.
density	9.74	g cm⁻³


Which one sits at the bottom of the stability order? model i does.


Model i: